Neil Volz on tearing down barriers to vote for returning citizens

Florida Rights Restoration Coalition Deputy Director Neil Volz (at podium) and Executive Director Desmond Meade (lower right) addressed the crowd at an advocacy day event at the Florida legislature during the 2020 election season. The group is now challenging the attacks on returning citizens' voting rights. (Photo courtesy of FRRC's Facebook page.)
The Florida Rights Restoration Coalition (FRRC) recently held a convention to mark its 10th anniversary. In 2018, the group successfully led an initiative to pass Amendment 4, restoring voting rights for over 1.4 million Floridians with felony convictions, except for murder and sexual offenses. Before the passage of the measure, the Florida constitution permanently disenfranchised all citizens convicted of any felony crime unless the state's clemency board reinstated their voting rights, which was rare. The old policy was a vestige of the Jim Crow era, designed to keep Black Floridians off the voting rolls.
### Records of crystals, kept here for reference
<<<
[1]
! Nd3Tm2Ga3O12, optimized geometry, DFT GGA-PBE; values from VASP
&SYSTEM
  ibrav = 0, nat = 80, ntyp = 4
/
ATOMIC_SPECIES
Nd 144.24 Nd.upf
Tm 168.93 Tm.upf
Ga 69.72 Ga.upf
O 16.00 O.upf
ATOMIC_POSITIONS angstrom
Nd 1.628 0.000 3.256
Nd 4.885 6.513 3.256
Nd -1.628 6.513 3.256
Nd 3.256 1.628 0.000
Nd 3.256 -1.628 6.513
Nd 8.141 0.000 3.256
Nd 3.256 4.885 6.513
Nd 3.256 8.141 0.000
Nd 0.000 3.256 1.628
Nd 6.513 3.256 4.885
Nd 6.513 3.256 -1.628
Nd 0.000 3.256 8.141
Tm 0.000 0.000 0.000
Tm 0.000 6.513 0.000
Tm 6.513 0.000 0.000
Tm -3.256 3.256 3.256
Tm 0.000 0.000 6.513
Tm 3.256 3.256 3.256
Tm 3.256 3.256 -3.256
Tm 3.256 -3.256 3.256
Ga 4.885 0.000 3.256
Ga 1.628 6.513 3.256
Ga 1.628 0.000 9.769
Ga 3.256 4.885 0.000
Ga 3.256 1.628 6.513
Ga 4.885 6.513 -3.256
Ga 9.769 1.628 0.000
Ga -3.256 4.885 6.513
Ga 0.000 3.256 4.885
Ga 6.513 3.256 1.628
Ga 0.000 9.769 1.628
Ga 6.513 -3.256 4.885
O 1.207 2.504 3.649
O 5.306 4.008 2.864
O -1.207 4.008 3.649
O -1.207 9.017 2.864
O 3.649 1.207 2.504
O 5.761 -2.050 6.120
O 7.720 2.504 2.864
O 7.720 -2.504 3.649
O 2.864 5.306 4.008
O 0.752 8.563 0.392
O 7.720 4.008 -3.649
O 3.649 -1.207 4.008
O 0.752 2.050 -0.392
O -1.207 2.505 10.162
O 2.864 7.720 2.504
O 5.761 4.463 6.905
O 2.864 -1.207 9.017
O 5.761 2.050 0.392
O 3.649 7.720 -2.504
O 0.752 4.463 6.120
O -3.649 7.720 4.008
O 7.265 4.463 0.392
O 10.162 -1.207 2.505
O -0.752 2.050 6.120
O 2.504 3.649 1.207
O 4.463 0.392 7.265
O 4.008 2.864 5.306
O 2.050 6.120 -0.752
O 9.017 2.864 -1.207
O 2.050 -0.392 0.752
O -2.504 3.649 7.720
O 4.463 6.905 5.761
O 4.008 -3.649 7.720
O -2.050 6.120 5.761
O 2.505 10.162 -1.207
O 8.563 0.392 0.752
O 4.008 3.649 -1.207
O 2.050 0.392 5.761
O 2.504 2.864 7.720
O 4.463 6.120 0.752
O 6.120 5.761 -2.050
O 0.392 0.752 8.563
O -0.392 0.752 2.050
O 6.905 5.761 4.463
O 0.392 7.265 4.463
O 6.120 -0.752 2.050
O 0.392 5.761 2.050
O 6.120 0.752 4.463
CELL_PARAMETERS angstrom
-6.513 6.513 6.513
6.513 -6.513 6.513
6.513 6.513 -6.513
! **Total DFT energy (no corrections)**: -7.5374 eV per atom
! **Energy of formation**: -3364 meV per atom
! **Symmetry**: No. 230

=====

[2]
! NdGa4Os, optimized geometry, DFT GGA-PBE; values from VASP
&SYSTEM
  ibrav = 0, nat = 36, ntyp = 3
/
ATOMIC_SPECIES
Nd 144.24 Nd.upf
Ga 69.72 Ga.upf
Os 190.23 Os.upf
ATOMIC_POSITIONS angstrom
Nd 2.469 4.416 7.314
Nd 5.228 4.416 2.438
Nd 6.456 2.200 7.314
Nd 1.240 6.633 2.438
Nd 6.456 6.633 7.314
Nd 1.240 2.200 2.438
Ga 1.373 2.091 5.611
Ga 6.323 6.742 4.140
Ga 1.373 6.742 9.016
Ga 6.323 2.091 4.140
Ga 6.323 2.091 0.736
Ga 1.373 6.742 5.611
Ga 6.323 6.742 0.736
Ga 1.373 2.091 9.016
Ga 1.001 0.000 7.314
Ga 6.695 0.000 2.438
Ga 2.602 0.000 0.597
Ga 5.094 0.000 9.154
Ga 2.602 0.000 4.278
Ga 5.094 0.000 5.473
Ga 3.484 1.381 7.314
Ga 4.213 7.452 2.438
Ga 3.484 7.452 7.314
Ga 4.213 1.381 2.438
Ga 5.055 4.416 5.709
Ga 2.642 4.416 4.042
Ga 5.055 4.416 8.918
Ga 2.642 4.416 0.834
Ga 0.000 4.416 4.876
Ga 0.000 4.416 0.000
Os 3.848 2.289 4.876
Os 3.848 6.544 4.876
Os 3.848 6.544 0.000
>>>
Following Amendment 4's adoption, however, Florida's Republican-controlled legislature passed a law to subvert it by requiring returning citizens to pay all court fees and fines before they can register. Gov. Ron DeSantis (R), a potential 2024 presidential candidate and Amendment 4 opponent, enthusiastically signed it into law. Opponents challenged the measure in court, but the Florida Supreme Court upheld it.
Now ahead of this year's midterm elections, DeSantis's new Office of Election Crimes and Security is targeting returning citizens for allegedly committing voter fraud in the 2020 election. On Aug. 18, DeSantis announced that 20 Florida residents in Broward, Miami-Dade, and Palm Beach counties had been arrested for voting while ineligible because of the nature of their offenses. Those arrested could face five years in prison and be fined up to $5,000. However, numerous media reports found that those arrested didn't know they were ineligible to vote — and in some cases were actually told by local elections officials that they were eligible.
Voting rights advocates note that Florida has no centralized system that allows returning citizens to determine whether they owe fines or court costs. Meanwhile, a recent report from the New York Times found that prosecution of alleged voter fraud is highly inconsistent, with the harshest punishment often reserved for the poor and people of color.
"We believe that anyone who wants to participate in democracy and genuinely believes that they are eligible should not be punished because of the state's confusing voter system," FRRC said in a statement in which it called on Florida to improve its election systems.
Facing South recently spoke with Neil Volz, FRRC's deputy director, about the recent attacks on the right to vote for returning citizens. Volz, a former U.S. House staff member and Republican lobbyist convicted of a felony for his role in a political corruption scandal, has more than 25 years of experience working as a public servant and community advocate. Today with FRRC, he works to help people with past convictions find jobs, and he advocates for policy changes to help returning citizens have their rights fully restored. This interview has been condensed and edited for clarity.
According to news reports, people in Florida are being arrested for allegedly voting illegally when elections officials allowed them to register in the first place. Help us understand what's happening and how it's affecting returning citizens.
What we've seen is a system that's broken. I appreciate how you asked that question, because at the end of the day the one thing that unites everyone in the state of Florida who's been arrested for voting is that they are people with past convictions and have been arrested for voter fraud. Their storylines all have a very similar pattern.
So most cases, what we're hearing is that people registered to vote. They got a voter identification card, their voter eligibility card. They are telling anyone who will ask that they thought they were eligible, so they voted. And now, years later, they are being arrested for voter fraud, suggesting that they had a willful intent to vote even though they knew that they were not eligible.
And the truth is no one should be arrested. There shouldn't be anyone in this situation if we had all done our job and improved the election system the way that everybody said that we wanted to see after Amendment 4 passed. Meaning, somebody can go get their voter eligibility determination at the front end. When you register to vote, the state can tell you if you're eligible or not, and that's what people thought was happening.
But what we know on the back end is that they're not determining the eligibility rightfully in that process, and the people who are paying the price for that are returning citizens who are now being arrested, and our families and our communities. It's jarring to think about a grandfather getting pulled from his house by SWAT team for voting in our state. The reaction is just as bad as the system itself. And so we are trying to encourage people to focus on the front end of the system and see that is how we can stop this from happening again.
FRRC has pointed out that Florida currently lacks systems to prevent this problem. What kind of systems does FRRC think the state needs to put in place?
We know that our state does not have a statewide database the way other states do. You go to North Carolina, you go to Louisiana, so many other states, and you're somebody who's just as impacted — you get your determination on the front end. And then everything from there works itself out in a much healthier way for our society.
I mean, the old adage is that the best way to fight crime is to stop it from happening in the first place. We all should take that advice right now. What's happened is that people are getting the impression that they're eligible to vote. Why would they think that? The state gave them a voter ID card. The idea that while the state is unable to tell somebody whether they're eligible or not, they can then also arrest them on the back end, that just doesn't make any sense. Real people's lives are being impacted by it.
I understand FRRC has a Fines and Fees Program that's also helping returning citizens determine their eligibility to vote. Tell us about that.
_Unrelated to this article: crystal structures_
┌──
[1]
{"formula": "Rb2LuAgCl6", "functional": "PBE", "state": "relaxed", "lattice": [[0.0000, 5.3327, 5.3327], [5.3327, 0.0000, 5.3327], [5.3327, 5.3327, 0.0000]], "species": ["Rb", "Rb", "Lu", "Ag", "Cl", "Cl", "Cl", "Cl", "Cl", "Cl"], "fractional_positions": [[0.2500, 0.2500, 0.2500], [0.7500, 0.7500, 0.7500], [0.0000, 0.0000, 0.0000], [0.5000, 0.5000, 0.5000], [0.2419, 0.2419, 0.7581], [0.2419, 0.7581, 0.2419], [0.2419, 0.7581, 0.7581], [0.7581, 0.2419, 0.2419], [0.7581, 0.2419, 0.7581], [0.7581, 0.7581, 0.2419]], "energy_mp2020_ev_per_atom": -4.223, "formation_enthalpy_0k_ev_per_atom": -2.183, "magmom_total_mub_per_fu": 0.00}

---

[2]
{"formula": "MgO", "functional": "PBE", "state": "relaxed", "lattice": [[1.4975, 0.8646, 19.9822], [-1.4975, 0.8646, 19.9822], [0.0000, -1.7291, 19.9822]], "species": ["Mg", "Mg", "Mg", "Mg", "Mg", "Mg", "Mg", "Mg", "O", "O", "O", "O", "O", "O", "O", "O"], "fractional_positions": [[0.0000, 0.0000, 0.0000], [0.0846, 0.0846, 0.0846], [0.2077, 0.2077, 0.2077], [0.3756, 0.3756, 0.3756], [0.5000, 0.5000, 0.5000], [0.6244, 0.6244, 0.6244], [0.7923, 0.7923, 0.7923], [0.9154, 0.9154, 0.9154], [0.1461, 0.1461, 0.1461], [0.2692, 0.2692, 0.2692], [0.3129, 0.3129, 0.3129], [0.4384, 0.4384, 0.4384], [0.5616, 0.5616, 0.5616], [0.6871, 0.6871, 0.6871], [0.7308, 0.7308, 0.7308], [0.8539, 0.8539, 0.8539]], "energy_mp2020_ev_per_atom": -6.268, "formation_enthalpy_0k_ev_per_atom": -2.994, "magmom_total_mub_per_fu": 0.00}

---

[3]
{"formula": "UCl2O2", "functional": "PBE", "state": "relaxed", "lattice": [[6.0944, 0.0000, 0.0000], [0.0000, 8.4946, 0.0000], [0.0000, 0.0000, 8.7477]], "species": ["U", "U", "U", "U", "Cl", "Cl", "Cl", "Cl", "Cl", "Cl", "Cl", "Cl", "O", "O", "O", "O", "O", "O", "O", "O"], "fractional_positions": [[0.0683, 0.2500, 0.0708], [0.4317, 0.7500, 0.5708], [0.5683, 0.2500, 0.4292], [0.9317, 0.7500, 0.9292], [0.1789, 0.5578, 0.1200], [0.1789, 0.9422, 0.1200], [0.3211, 0.0578, 0.6200], [0.3211, 0.4422, 0.6200], [0.6789, 0.5578, 0.3800], [0.6789, 0.9422, 0.3800], [0.8211, 0.0578, 0.8800], [0.8211, 0.4422, 0.8800], [0.1471, 0.7500, 0.7796], [0.2197, 0.7500, 0.4316], [0.2803, 0.2500, 0.9316], [0.3529, 0.2500, 0.2796], [0.6471, 0.7500, 0.7204], [0.7197, 0.7500, 0.0684], [0.7803, 0.2500, 0.5684], [0.8529, 0.2500, 0.2204]], "energy_mp2020_ev_per_atom": -7.621, "formation_enthalpy_0k_ev_per_atom": -2.645}

---

[4]
{"formula": "BaSi2Ni2", "functional": "PBE", "state": "relaxed", "lattice": [[3.2525, -2.6797, 0.0000], [3.2525, 2.6797, 0.0000], [0.0000, 0.0000, 11.4348]], "species": ["Ba", "Ba", "Si", "Si", "Si", "Si", "Ni", "Ni", "Ni", "Ni"], "fractional_positions": [[0.2038, 0.7962, 0.7500], [0.7962, 0.2038, 0.2500], [0.3113, 0.6887, 0.0668], [0.3113, 0.6887, 0.4332], [0.6887, 0.3113, 0.5668], [0.6887, 0.3113, 0.9332], [0.2045, 0.2045, 0.0000], [0.2045, 0.2045, 0.5000], [0.7955, 0.7955, 0.0000], [0.7955, 0.7955, 0.5000]], "formation_enthalpy_0k_ev_per_atom": -0.556}

---

[5]
└──
_The article goes on_
"We know that there's support within the public for restoration and redemption and forgiveness and the idea that we can move forward together as a community. We just need to touch it."
Our Fines and Fees Program was set up in 2019 as a way to help people who have barriers to voting related to the financial obligations they might still owe the court. And so that program does a variety of different things. One is we can connect somebody who is unclear about their eligibility with an attorney so that an attorney can actually help do the research to inform a potential voter of what their situation is.
We also can in some circumstances pay people's fines and fees. So that removes the barrier that exists for them to vote. And then they can decide whether they want to register or how they want to vote and move forward. But our hope would be to tear that barrier down.
And then there's a process in which you can get into the court system and potentially modify people's sentences. Maybe they can waive the financial obligations that are owed, or they can turn them into community service. The judges have leeway. We've also been working in that area to try and help people.
Our simple goal is we want all 1.4 million people who are impacted by Amendment 4 to have the ability to vote if they want it. So, we're continuing to work to tear those barriers down.
What other strategies are FRRC and other voting rights advocacy groups in Florida engaged in to counter the potentially vote-suppressing effects of DeSantis's criminal initiative?
Our view is that the best way to deal with any sort of voter suppression is to get people out to vote, and to educate people who might have questions — to encourage people to be poll workers, poll watchers, and engage in the process.
We're doing all three of those things. We have a huge voter protection program in which we're getting returning citizens, our families, our community members, to get engaged in that process. And then we are always encouraging and celebrating democracy and trying to get more people out to vote. That could mean in some cases, when people aren't eligible, encouraging their family members to get out. Other people are trying to get eligible. And still others, if they know that they're eligible, to register and get engaged in the system, because we know that's how change happens — through the power of the ballot box.
Since the passage of Amendment 4, how many returning citizens have successfully registered to vote in Florida, and what role do you see them playing in this year's elections?
The passage of Amendment 4 was such an amazing process — not only because of what happened, but how it happened. We saw people overcome divisiveness all across the state and unite behind the simple idea that when a debt's paid, it's paid. We saw a coalition of people that was beyond bipartisan. Not only did it have people from the right and the left, but it had people from all walks of life who got behind just some basic morals and values that we collectively share. And almost two-thirds of the public supported ending the lifetime ban on voting for 1.4 million people. It's the largest expansion of democracy in America in a generation, and we did it here in Florida.
So we know that there's support within the public for restoration and redemption and forgiveness and the idea that we can move forward together as a community. We just need to touch it. We need to communicate with people in a way that they see how they're able to make positive change for their own community, and that's what we try to do.
We continue to see more returning citizens registering to vote and getting engaged in the civic process here in Florida. And we know that people who are returning citizens come from all walks of life all over the state, Republicans, Democrats, independents. But we also know that our life experiences bring a set of issues to the conversation that we think will start to shape some of the conversations that we have around re-entry and second-chance employment. How do we view people coming out of the system as an asset to the community rather than something else? Because we believe the work that we do, the work about empowering people who have been impacted by the system, actually can help all of society.
That's just what this movement's built on. And so we know that's going to resonate around certain issues, issues that we are subject-matter experts in, and that we feel like we can actually be an asset. That experience can provide purpose and better policy. Sometimes we have to fight this narrative that people are remembered for the worst thing that they did, or you get this label and this stigma, and somehow you don't see it as something where we can create a benefit to everyone in the community. Because the truth is, we're only as strong as our weakest link, and people have been weakened by various systems, one being the criminal justice system. Whatever you think about the system, it's undeniable that 95% of the people in it are coming out of it. And if we create a way in which people can flourish, then we know that communities can flourish, and that this can actually be something that brings people together.
What's next in the quest to secure voting rights for Florida's returning citizens?
Our North Star is the empowerment of people who have been impacted by the criminal justice system here in Florida. That means tearing down barriers to economic mobility, to democracy, to people being full participants in their own communities. We know that there are still hundreds of thousands of returning citizens who are not yet eligible because they owe financial obligations to the court system, so we're going to continue to work to bring down those barriers.
We're going to continue to work to advance policies of second-chance employment that allow good employers to connect up with good employees and not get caught up in some kind of endless background check that ultimately doesn't help anybody. We want to do the same with housing and access to higher education, and all these avenues to a better life for people, all while we work to try and change the way we see each other. We firmly believe that if we can help change the way our communities see those of us who have made mistakes, we can create a better society for everybody.
Benjamin Barber
Benjamin Barber is the democracy program coordinator at the Institute for Southern Studies.